friendship is first priority

Ken ; I don't know Advin but I think that she is the one I'm searching for.. she always understand me when I am alone but she don't know that I don't want this relationship end up . I just want to be with her .

Advin ; Are you loving her...

Ken ; shut up and care for your girl

leave me behind.

Advin; Yeah , I wanted to change myself now and I don't wanna be act like that ... I'm going to be a father soon. I don't want my child to see his dad habits.

Ken ;what about the girl . what's her name .

Advin ; forget it .That day because of that girl we are going to be seprated from eachother . Friendship is the first priority before love don't want to discuss about it.Ken but my dad will kill me after knowing this news I'm going to share in home.

Ken ; just share it. it good for you. You deserving a very nice girl .

Advin ; why you always praising her inside of mine..

Ken ; just because she is nice .

Advin ; I'm going to home now take care.

Advin come to his room after reaching home ..... I didn't ask for her number. damn it ... just go for sleep it is hard for her... I should be one for her be with her ... take care of her ... she needs me . I guess If she would not involved in this situation I don't wanna be close to her ... it's only my mean that I'm comproming with her.. The next morning Rosella go to the office for resign... office colleges: it's must be Maddie child ... yeah .. he love her crazily...

Maddie ; What Rosella come with me .

What this is all rumor ? you are not pregnant.

Rosella; I'm pregnant. I'm sorry.

Maddie ; you just broke my heart.. Rosella if you just keep me as your friend why did you told me that you will marry me if no one will marry.

Rosella; it was joke . you also know that it was joke .

Maddie ; just leave him and marry with me I'm so many years in love with you . please don't leave me . I always throught you will like me back . you said you were not in relationship and now this .

Rosella : Maddie ! I just tell you... you're just my School friend and I don't love you .. and never love you .

Maddie; so you Love with someone.with who ? this guy

Rosella : yes.. this guy ..

Maddie ; can't you see my pain in my eyes ... I Love you for years and he just stole you from me in second.

Can we stays as good friends I promise I will not annoy you .... I don't want to lose our friendship.

Rosella ; move on... be easy .. you will get a very good girl soon . I'm just here for resigned I'm leaving.

Office colleges; It's Maddie child... Rosella.

Rosella : no.. He is not .. I'm going to marry .. don't need to worry about my child father you will find it soon and I resigned it my job . hope we meet again . have a nice time spend here. I will come back soon see you .

Office colleges; okey ... kind so it will surprised for us.

Rosella call her hazel .

Rosella; shame of you calling me your friend.

Hazel ; friend. I didn't think you as my friend. you're my first enemy when you first slapped in school life . it's my revenge complete.

Rosella; the slap you deserve it that time and now you deserve more . thanks for letting me know you never think me as your friend. You were always fake used people for money, fun and I'm better than you .just I don't want to see you ever. Cheater girl ... after call dropping

Rosella, I think of her she takes me friend but she used me for just revenge. She broke my heart.. all these days I trust her be fool because of her . Why that kind of people still loving by someone. I am not loved by anyone.

Just stop taking tension be okey worries is not for you .

I have not Advin number.When he will contact me back. Right now I just want him be my side . I can trust him without knowing him .

Yezi ; Molisa ! Let's go on date for lunch I didn't celebrate your birthday.

Yezi ; why are you sad on your birthday Molisa.

Molisa; He didn't wish me just .

[What comes next are quantum chemistry results, not part of the article]
********
*A*
A single CH2NOP molecule. Source: OMol25; level of theory: the ωB97M-V functional and the def2-TZVPD basis.

Each line ends with the natural charge from an NBO analysis.
CARTESIAN COORDINATES (ANGSTROEM)
O1 4.2051 0.0196 0.0171  -0.4240
C1 3.0843 0.0981 -0.0293  0.9082
N1 1.7341 -0.2998 0.0490  -0.9083
P1 0.4106 0.7471 0.0585  0.5439
H1 -0.4879 -0.2127 -0.1145  -0.0564
H2 -0.1408 0.6395 1.3311  -0.0634

Output
SMILES   O=C=NP
Kohn-Sham gap   9.461 eV


*B*
A single CH2NOP molecule. Source: OMol25; level of theory: the ωB97M-V functional and the def2-TZVPD basis.

Each line ends with the natural charge from an NBO analysis.
CARTESIAN COORDINATES (ANGSTROEM)
H1 1.5203 -0.7832 1.6785  -0.0896
P1 1.4010 -1.0363 0.0845  0.9603
N1 0.3974 0.0851 -0.1752  -0.8528
C1 -0.7513 0.4790 -0.5382  0.4632
O1 -1.7949 -0.2308 -0.0982  -0.6348
H2 -0.7725 1.4862 -0.9513  0.1537

Output
SMILES   [H]/P=N/C=O
Kohn-Sham gap   7.948 eV


Energetically preferred structure: *A* | next structure: +0.901 eV


*A*
A 5-piece molecular cluster, H11O5 overall. Source: OMol25; level of theory: the ωB97M-V functional and the def2-TZVPD basis.

Each line ends with the natural charge from an NBO analysis.
CARTESIAN COORDINATES (ANGSTROEM)
O1 0.0490 1.7153 0.3237  -0.7330
H1 -0.5579 1.4416 -0.3678  0.5734
H2 -0.1912 1.2834 1.1467  0.5809
H3 0.9222 1.4633 0.0143  0.5776
O2 -0.0877 -3.5195 -1.3671  -0.9449
H4 0.3844 -4.0547 -2.0050  0.4758
H5 -0.9875 -3.4960 -1.6926  0.4691
O3 4.5744 0.3314 -0.1058  -0.9572
H6 5.2936 0.8842 0.1998  0.4780
H7 4.9985 -0.3418 -0.6380  0.4795
O4 -3.1023 1.0575 -3.1430  -0.9565
H8 -2.9932 1.7726 -3.7699  0.4760
H9 -3.5888 0.3884 -3.6245  0.4809
O5 -1.3585 0.3561 4.6821  -0.9560
H10 -1.0602 0.1841 5.5752  0.4817
H11 -2.2947 0.5339 4.7718  0.4746

Output
Charge   +1
Kohn-Sham gap   9.340 eV


*B*
A 5-piece molecular cluster, H11O5 overall. Source: OMol25; level of theory: the ωB97M-V functional and the def2-TZVPD basis.

Each line ends with the natural charge from an NBO analysis.
CARTESIAN COORDINATES (ANGSTROEM)
O1 20.6920 35.5600 22.1550  -0.7428
H1 20.0600 36.2220 21.6270  0.5742
H2 20.5830 35.7830 23.0170  0.5463
H3 20.4520 34.7600 21.9020  0.5507
O2 21.9720 33.1350 22.1850  -0.9624
H4 22.4160 33.5680 21.5100  0.4650
H5 21.9980 32.0780 21.8430  0.5030
O3 19.7910 35.7490 24.7440  -0.9593
H6 20.3560 35.2110 25.3720  0.5026
H7 20.1710 36.6930 24.9070  0.4856
O4 18.5650 33.6670 21.8860  -0.9711
H8 17.6110 33.6180 21.9590  0.4949
H9 18.7310 33.0340 21.1690  0.4809
O5 19.0790 37.6950 21.2230  -0.9801
H10 18.4040 38.4130 21.2130  0.5221
H11 19.6700 38.0500 20.5260  0.4904

Output
Charge   +1
Kohn-Sham gap   12.162 eV


Energetically preferred structure: *B* | next structure: +0.472 eV


*A*
C2H8N3S as an isolated structure. Source: OMol25; level of theory: the ωB97M-V functional and the def2-TZVPD basis.

Each line ends with the natural charge from an NBO analysis.
CARTESIAN COORDINATES (ANGSTROEM)
C1 -1.7375 0.3890 -0.4091  -0.3972
********
[The article goes on]

Yezi; maybe he is busy or just he don't care for you .... I know that people Always wants their favorite person close when it's your happy moments. but you spoiled your happy moments for those who don't care for you and make yourself unhappy. Are you mad ? just be happy . I'm with you .

Molisa; Yezi you are always good person always motivated me when I feel down . Thanks for being my friend.

[1]
{
  "formula": "C5H8O",
  "method": "the ωB97M-V functional and the def2-TZVPD basis",
  "smiles": "C#CCOCC",
  "homo_lumo_gap_ha": 0.400,
  "homo_energy_ev": -9.852,
  "elements": ["C", "C", "C", "O", "C", "C", "H", "H", "H", "H", "H", "H", "H", "H"],
  "coordinates": [[3.33792, -0.76559, -0.09400], [2.36243, -0.00924, -0.05774], [1.18484, 0.87878, 0.07730], [0.19886, -0.15242, 0.07839], [-1.15718, 0.31253, -0.17302], [-2.22823, -0.72179, 0.03536], [4.11380, -1.51586, 0.15453], [1.02870, 1.48797, -0.80697], [1.15487, 1.49888, 0.99803], [-1.30584, 1.11254, 0.59786], [-1.24187, 0.70513, -1.22221], [-3.19060, -0.21040, -0.32098], [-2.09045, -1.74358, -0.54334], [-2.16726, -0.87696, 1.27680]],
  "forces_ev_per_a": [[-1.95, 1.12, 0.90], [3.45, -0.93, 0.27], [-0.21, -1.77, -0.33], [-2.09, -0.03, -0.05], [1.20, 0.98, -0.17], [-0.12, -1.36, 2.07], [-0.95, 1.05, -0.70], [0.25, 0.43, -0.14], [0.21, -0.37, -0.42], [-0.29, -0.18, -0.96], [0.35, 0.03, 0.82], [1.13, -1.01, 0.90], [-0.13, 2.20, 1.28], [-0.84, -0.16, -3.47]],
  "nbo_charge": [-0.25, -0.01, -0.13, -0.54, -0.08, -0.63, 0.25, 0.20, 0.20, 0.17, 0.16, 0.22, 0.23, 0.21]
}

=====

[2]
{
  "formula": "C47H47ClIIrN7O2P3SSe2",
  "method": "the ωB97M-V functional and the def2-TZVPD basis",
  "homo_lumo_gap_ha": 0.239,
  "homo_energy_ev": -6.891,
  "elements": ["Ir", "Se", "P", "C", "C", "C", "C", "C", "C", "C", "C", "C", "C", "C", "C", "C", "C", "N", "N", "N", "P", "Se", "C", "C", "C", "C", "C", "C", "C", "C", "C", "C", "C", "C", "H", "H", "H", "H", "H", "H", "H", "H", "H", "H", "H", "H", "H", "H", "H", "H", "H", "H", "H", "H", "Cl", "C", "C", "C", "I", "C", "O", "C", "N", "C", "C", "C", "C", "H", "H", "H", "H", "S", "C", "C", "C", "C", "C", "C", "H", "H", "H", "H", "H", "C", "N", "C", "P", "O", "N", "C", "C", "N", "C", "C", "H", "H", "H", "H", "H", "H", "H", "H", "H", "H", "H", "H", "H", "H", "H", "H", "H", "H"],

Yezi ; keep your mouth shut and cut cake I want to eat ..